
Large amounts of raw glycerol are formed as the main by-product in biodiesel production and constitutes approx. 10% (w/w) of the total biodiesel generated (Johnson and Taconi 2007). This surplus raw glycerol has not only greatly disturbed the market for traditional glycerol in terms of price but has also created a significant environmental problem because it cannot be discharged directly into the environment without treatment (da Silva et al. 2009). Thus, considerable efforts have been directed towards development of methods to refine glycerol from a low-cost feedstock into industrially valuable materials including fuels, building blocks, and bioactive substances.

Glycerol is a non-fermentable by most microorganisms except for a group of bacteria including Bacillus, Clostridium, Enterobacter, Klebsiella and Lactobacillus species. Recently, Gonzalez and colleagues demonstrated anaerobic fermentation of glycerol by Escherichia coli and thus offered a new metabolic platform for production of fuels and chemicals (Dharmadi et al. 2006; Gonzalez et al. 2008; Murarka et al. 2008). Moreover, the cost of ethanol production from glycerol was almost 40% lower compared with production from corn-derived sugars in terms of feedstock demand and operational costs (Yazdani and Gonzalez 2007). These observations encouraged the engineering of E. coli for the efficient fermentative conversion of glycerol to ethanol and co-products (Yazdani and Gonzalez 2008; Durnin et al. 2009).

The methylotrophic yeast, Hansenula polymorpha, is one of the most important non-conventional yeasts used in industrial processes such as heterologous protein production (Gellissen 2002). In addition, H. polymorpha has the potential to be useful in ethanol production owing to its ability to ferment xylose, which is derived from the hemicellulose component of biomasses (Ryabova et al. 2004; Guerra et al. 2005). In the present study, we evaluated the potential of H. polymorpha as a metabolic platform for conversion of glycerol to ethanol.

Materials and methods

Strains, plasmids, and media

Escherichia coli DH5α was used as the host strain for genetic cloning. Zymomonas mobilis ZM4 was the source of genes encoding pyruvate decarboxylase (pdc) and aldehyde dehydrogenase II (aldB). Klebsiella pneumoniae MGH78578 was the source of genes encoding glycerol dehydrogenase (dhaD) and dehydroxyacetone kinase (dhaKLM). The methylotrophic yeast Hansenula polymorpha DL1-L was used for production of ethanol from glycerol. pGEM-T-Easy (Promega) was employed for cloning and sequencing of amplified DNA fragments. pYHSA161 (Heo et al. 2003) was used to express genes in H. polymorpha. E. coli and H. polymorpha were grown in LB (yeast extract, 0.5%; Bacto-tryptone, 1%; and NaCl, 1%; all w/v) and YPD medium (yeast extract, 1%; peptone, 2%; glucose, 2%; all w/v) supplemented with leucine (5 g l−1), respectively. Ampicillin (50 μg ml−1) and G418 (0.5–2 mg ml−1) were used for selection of transformants of E. coli and H. polymorpha, respectively.

[Attached: data records]
____________
ZnAg2Br PBE-GGA relaxed; density of states at the Fermi level = 0.24 states/eV per atom; total magnetization = 0.00 μB/f.u.; excess energy over the best structure of this formula in the dataset = 8.3 meV/atom; E_tot = -2.20 eV/atom; formation energy without anion corrections = -0.033 eV/atom
1.0
3.6413 0.0000 0.0000
0.0000 3.4507 0.0000
-0.0149 0.0000 6.9661
Zn Ag Br
1 2 1
Cartesian
0.0000 0.0000 0.0000
1.8049 1.7254 5.7921
3.6245 0.0000 4.3268
-0.0011 1.7254 1.9908


# 1
A relaxed Zr4BeCo3 crystal, computed with GGA-PBE.

Unit cell a=3.3333 b=3.9534 c=9.9753 alpha=90.00 beta=90.00 gamma=90.00
Space group Pmm2 (No. 25)
Symmetry-distinct sites (fractional):
Zr  0.0000  0.0000  0.0000 (multiplicity 1)
Zr  0.0000  0.5000  0.2759 (multiplicity 1)
Zr  0.5000  0.0000  0.4947 (multiplicity 1)
Zr  0.5000  0.5000  0.7773 (multiplicity 1)
Be  0.0000  0.0000  0.7055 (multiplicity 1)
Co  0.0000  0.5000  0.5706 (multiplicity 1)
Co  0.5000  0.0000  0.2262 (multiplicity 1)
Co  0.5000  0.5000  0.0502 (multiplicity 1)

Summary:
- Volume: 131.5 Å³ per cell
- M_tot: 0.00 μB/f.u.

***

# 2
A relaxed Zr2BeCo crystal, computed with GGA-PBE.

Unit cell a=3.0984 b=3.0984 c=6.6905 alpha=90.00 beta=90.00 gamma=90.00
Space group P4mm (No. 99)
Symmetry-distinct sites (fractional):
Zr  0.0000  0.0000  0.0000 (multiplicity 1)
Zr  0.5000  0.5000  0.3363 (multiplicity 1)
Be  0.0000  0.0000  0.6026 (multiplicity 1)
Co  0.5000  0.5000  0.7402 (multiplicity 1)

Summary:
- Volume: 64.2 Å³ per cell
- M_tot: 0.37 μB/f.u.

***

# 3
A relaxed Zr3BeCo3 crystal, computed with GGA-PBE.

Unit cell a=9.4548 b=3.5029 c=13.5669 alpha=90.00 beta=108.11 gamma=90.00
Space group C2/m (No. 12)
Symmetry-distinct sites (fractional):
Zr  0.0240  0.0000  0.3854 (multiplicity 4)
Zr  0.1082  0.0000  0.9235 (multiplicity 4)
Zr  0.2428  0.0000  0.2298 (multiplicity 4)
Be  0.2367  0.5000  0.3884 (multiplicity 4)
Co  0.0289  0.5000  0.2355 (multiplicity 4)
Co  0.1170  0.5000  0.0775 (multiplicity 4)
Co  0.1565  0.5000  0.5322 (multiplicity 4)

Summary:
- Volume: 427.1 Å³ per cell
- M_tot: 0.00 μB/f.u.

***

# 4
A relaxed Zr3Be3Co crystal, computed with GGA-PBE.

Unit cell a=9.3024 b=3.8443 c=12.6124 alpha=90.00 beta=111.29 gamma=90.00
Space group C2/m (No. 12)
Symmetry-distinct sites (fractional):
Zr  0.0267  0.0000  0.3765 (multiplicity 4)
Zr  0.1049  0.0000  0.9250 (multiplicity 4)
Zr  0.2428  0.5000  0.7755 (multiplicity 4)
Be  0.0633  0.5000  0.2374 (multiplicity 4)
Be  0.1001  0.5000  0.0784 (multiplicity 4)
____________

Construction of plasmids pYH-pdc-adhB, pYH-dhaDKLM, and pYH-pdc-adhB-dhaDKLM

# Inserted here: calculated crystals
____________
Record 1
! LiHgRh2 PBE optimized geometry; values from VASP
! **DOS(E_F)**: 1.24 states/eV per atom
! **Space group**: Imm2 (44)
! **Calculated volume**: 62 Å³ per cell
! **E**: -4.18 eV/atom
! **Energy relative to the elements**: 0.211 eV/f.u.
! **Crystal system**: orthorhombic
&SYSTEM
  ibrav = 0, nat = 4, ntyp = 3
/
ATOMIC_SPECIES
Hg 200.59 Hg.upf
Li 6.94 Li.upf
Rh 102.91 Rh.upf
CELL_PARAMETERS angstrom
5.261 0.010 0.011
2.391 4.687 -0.011
-3.267 -3.258 2.527
ATOMIC_POSITIONS angstrom
Hg 3.774 2.317 0.000
Li 1.424 1.857 1.258
Rh 0.013 0.008 0.000
Rh 2.999 -0.395 1.269



Record 2
! Li2HgRh PBE optimized geometry; values from VASP
! **DOS(E_F)**: 0.33 states/eV per atom
! **Space group**: P4mm (99)
! **Calculated volume**: 63 Å³ per cell
! **E**: -3.00 eV/atom
! **Energy relative to the elements**: -0.519 eV/f.u.
! **Crystal system**: tetragonal
&SYSTEM
  ibrav = 0, nat = 4, ntyp = 3
/
ATOMIC_SPECIES
Hg 200.59 Hg.upf
Li 6.94 Li.upf
Rh 102.91 Rh.upf
CELL_PARAMETERS angstrom
-2.877 -1.494 -0.283
0.983 -2.289 2.094
-2.119 3.226 4.520
ATOMIC_POSITIONS angstrom
Hg -2.532 0.522 4.287
Li -0.027 0.042 0.059
Li -1.516 -1.026 2.118
Rh -0.997 1.518 2.127



Record 3
! Li7Hg2Rh PBE optimized geometry; values from VASP
! **DOS(E_F)**: 0.66 states/eV per atom
! **Space group**: P3m1 (156)
! **Calculated volume**: 170 Å³ per cell
! **E**: -2.28 eV/atom
! **Energy relative to the elements**: -1.482 eV/f.u.
! **Crystal system**: trigonal
&SYSTEM
  ibrav = 0, nat = 10, ntyp = 3
/
ATOMIC_SPECIES
Li 6.94 Li.upf
Hg 200.59 Hg.upf
Rh 102.91 Rh.upf
CELL_PARAMETERS angstrom
-0.709 -0.699 4.331
4.152 0.356 -1.542
-0.269 9.799 1.537
ATOMIC_POSITIONS angstrom
Li 2.428 3.789 1.009
Li 2.494 1.382 0.632
Li -0.089 3.246 0.509
Li -0.209 7.603 1.192
Li 0.767 4.923 3.200
Li 0.654 9.017 3.842
Li 2.286 8.957 1.819
Hg 0.850 1.903 2.726
Hg 2.357 6.389 1.417
Rh -0.016 0.599 0.094



Record 4
! LiHgRh2 PBE optimized geometry; values from VASP
! **DOS(E_F)**: 1.25 states/eV per atom
! **Space group**: P4/mmm (123)
! **Calculated volume**: 61 Å³ per cell
! **E**: -4.11 eV/atom
! **Energy relative to the elements**: 0.469 eV/f.u.
! **Crystal system**: tetragonal
&SYSTEM
  ibrav = 0, nat = 4, ntyp = 3
/
ATOMIC_SPECIES
Hg 200.59 Hg.upf
Li 6.94 Li.upf
Rh 102.91 Rh.upf
CELL_PARAMETERS angstrom
-0.425 3.002 0.804
0.660 -0.706 2.984
5.978 1.129 -1.055
ATOMIC_POSITIONS angstrom
Hg 1.612 1.430 1.630
Li 4.601 1.994 1.103
Rh 5.756 1.087 -1.016
Rh 3.211 0.606 -0.567



Record 5
! LiHgRh2 PBE optimized geometry; values from VASP
! **DOS(E_F)**: 1.16 states/eV per atom
! **Space group**: R-3m (166)
! **Calculated volume**: 63 Å³ per cell
! **E**: -4.08 eV/atom
! **Energy relative to the elements**: 0.618 eV/f.u.
! **Crystal system**: trigonal
&SYSTEM
  ibrav = 0, nat = 4, ntyp = 3
/
ATOMIC_SPECIES
Hg 200.59 Hg.upf
Li 6.94 Li.upf
Rh 102.91 Rh.upf
CELL_PARAMETERS angstrom
9.056 0.000 0.000
8.606 2.820 0.000
8.606 1.374 2.462
ATOMIC_POSITIONS angstrom
Hg 6.567 1.048 0.616
Li 19.701 3.145 1.847
____________

A schematic representation of the strategy used to construct pYH-pdc-adhB, pYH-dhaDKLM, and pYH-pdc-adhB-dhaDKLM is shown in Fig. 1. The primers used in amplification of DNA sequences by PCR are listed in Supplementary Table 1. The 0.8 and 0.3 kb DNA sequences, including the promoter (pGAP) upstream of glyceraldehyde-3-phosphate dehydrogenase (GAPDH) and the terminator sequence (tT) of alcohol oxidase (AOX) of H. polymorpha, were amplified using pYHSA161 (Heo et al. 2003) as a template. Amplified DNA sequences were cloned into pGEM-T-Easy vector generating pGEM-pGAP-tT, followed by DNA sequencing to confirm the absence of any errors in the DNA polymerization. The 1.8 and 1.15 kb ORF of pdc and adhB were amplified from Z. mobilis chromosomal DNA using the primers as indicated in Supplementary Table 1. DNA sequences encoding dhaD (1.1 kb), dhaK (1.1 kb), dhaL (0.6 kb), and dhaM (1.4 kb) were amplified from K. pneumoniae chromosomal DNA using primers listed in Supplementary Table 1. Amplified DNA fragments were cloned into appropriate restriction sites of pGEM-pGAP-tT, followed by DNA sequencing to confirm the absence of any errors. To generate pYH-pdc-adhB, the NotI and SpeI–NheI fragments, including pdc (pGEM-pdc) and adhB (pGEM-adhB) were serially inserted into the NotI and SpeI sites of pYHSA161, respectively. Plasmids pYH-dhaDKLM and pYH-pdc-adhB-dhaDKLM were also similarly constructed as shown in Fig. 1.

Fig. 1
figure 1

Schematic representation of the strategy used for construction of pYH-pdc-adhB and pYH-pdc-adhB-dhaDKLM. Abbreviations for restriction enzymes: B: BamHI, Bg: BglII, Nh: NheI, No: NotI, S: SmaI, Sp: SpeI, X: XhoI, Xb: XbaI. Kle is the Klenow fragment

Screening and cultivation of H. polymorpha transformants expressing pdc and adhII genes

Hansenula polymorpha was transformed using the lithium acetate and DMSO method (Hill et al. 1991), and the resulting Leu+ transformants harboring pYH-pdc-adhII or pYH-pdc-adhII-dhaDKLM were stabilized as previously described (Sohn 1997).

Hansenula polymorpha strains were cultivated in 250 ml flasks with 50 ml YP medium, including glucose or glycerol as carbon source. Growth of the cells was monitored from the OD600 values. Cells were subjected to enzyme activity assays and the culture broth was analyzed for relevant metabolites. All results presented reflect data from three independent experiments.

Enzyme activity assays

The activities of pyruvate decarboxylase (Pdc) and aldehyde dehydrogenase (AdhII) were measured using the method of Postma et al. (1989), whereas the activity of glycerol dehydrogenase (DhaD) was estimated by the method of Slininger et al. (1983). One unit of enzyme activity was the amount of enzyme consuming 1 μmol substrate per min. Protein was determined using a protein assay kit (Bio-Rad), with BSA as a standard.

Metabolite analysis

The levels of residual glycerol and ethanol in culture broth were determined by HPLC equipped with a refractive index detector and an organic acid analysis column (300 × 78 mm; Aminex HPX-87H; Bio-Rad) held at 65°C. The mobile phase was 5 mM H2SO4 at 0.8 ml min−1.


Construction of a recombinant H. polymorpha strain transformed with pdc and adhB genes from Z. mobilis

Ethanol is produced in H. polymorpha from the reduction of pyruvate by pyruvate decarboxylase and alcohol dehydrogenase. Overexpression of the pyruvate decarboxylase gene (PDC1) from H. polymorpha or Kluyveromyces lactis resulted in increased production of ethanol in H. polymorpha using xylose as substrate (Ishcuhk et al. 2008). We investigated whether overexpression of genes encoding proteins involved in the ethanol production could also result in an increase in ethanol yield from glycerol. To this end, the recombinant plasmid pYH-pdc-adhB (Fig. 1) was prepared, in which expression of the genes pdc and adhB, encoding pyruvate decarboxylase and aldehyde dehydrogenase II from Z. mobilis, respectively, was driven by the constitutive GAPDH promoter (pGAP) and terminated by the AOX terminator (tAOX). Plasmid pYH-pdc-adhB was linearized and successfully transformed into H. polymorpha DL1-L (Leu). Transformants were selected by leucine prototrophy (Leu+) on minimal medium without leucine, and stabilized by serial cultivation in such medium. To induce possible multiple integration of the relevant genes into chromosomal DNA, stabilized transformants were grown on minimal medium, without leucine, but supplemented with G418 at either 0.5, 1, or 2 mg ml−1. The resulting recombinant yeast strain was termed Hp DL1-L/pYH-pdc-adhB. The presence of the required inserts in the genome of the recombinant strain was confirmed by PCR (Fig. 2).

Fig. 2
figure 2

Confirmation of chromosomal integration of adhB (lanes 1, 7, and 13; 1.15 kb), pdc (lanes 2, 8, and 14; 1.8 kb), dhaD (lanes 3, 9, and 15; 1.1 kb), dhaK (lanes 4, 10, and 16; 1.1 kb), dhaL (lanes 5, 11, and 17; 0.6 kb) and dhaD (lanes 6, 12, and 18; 1.4 kb) genes in recombinant H. polymorpha strains, as shown by PCR amplification. Lanes 1–6, HpDL1-L/pYH-pdc-adhB; lanes 7–12, HpDL1-L/pYH-pdc-adhB-dhaDKLM; lanes 13–18, HpDL1-L. M: molecular size marker

Enhanced ethanol yield from glycerol by action of the recombinant H. polymorpha strain Hp DL1-L/pYH-pdc-adhB

The recombinant yeast grew similarly to the control strain with glycerol at 2% (v/v) as sole carbon source (Fig. 3). The ethanol yield was 3.3-fold higher (2.74 g l−1) than the parent strain (0.83 g l−1), although ethanol production was still low. Consistent with these results, the activities of Pdc and AdhII were 121 and 170% higher, respectively, in Hp DL1-L/pYH-pdc-adhB than in Hp DL1-L (Table 1).

Fig. 3
figure 3

Cell growth (closed symbols) and ethanol production (open symbols) of recombinant H. polymorpha strains. HpDL1-L, circles; HpDL1-L/pYH-pdc-adhB, squares; HpDL1-L/pYH-pdc-adhB-dhaDKLM, triangles

Table 1 Activities (enzyme units) of Pdc, AdhII, and DhaD in recombinant H. polymorpha strains

Effect of overexpression of the dhaD and dhaKLM genes of Klebsiella pneumoniae on glycerol utilization and ethanol yield

In K. pneumoniae, anaerobic utilization of glycerol is catalyzed by glycerol dehydrogenase (DhaD) and dehydroxyacetone kinase (DhaKLM). To increase ethanol yield from glycerol, dhaD and dhaKLM were overexpressed in the recombinant yeast strain. The recombinant plasmid pYH-pdc-adhB-dhaDKLM was prepared by inserting dhaDKLM between the constitutive GAPDH promoter (pGAP) and the AOX terminator (tAOX), together with pdc and adhB (Fig. 1), and transformed into H. polymorpha. A transformant was selected and stabilized as described above.

Enzyme analysis showed that DhaD activity was 54 and 44% higher in Hp DL1-L/pYH-pdc-adhB-dhaDKLM than in Hp DL1-L and Hp DL1-L/pYH-pdc-adhB, respectively (Table 1). Glycerol utilization by these strains reflected the respective levels of enzyme activity (data not shown). Also, ethanol yield from glycerol was slightly increased (to 3.1 g l−1) after expression of dhaDKLM in the recombinant yeast strain (Fig. 3).


Ethanol production from glycerol occurs in some microbial strains, such as Klebsiella and Enterobacter species, in which the cellular redox balance during the oxidative process of glycerol was retained by a coupled reductive process producing 1,3-propanediol. The highest yield of ethanol from glycerol (17 g l−1) was reported during fed-batch fermentation of K. pneumoniae (Cheng et al. 2007). Recently, fermentative utilization of glycerol has been reported in E. coli in which glycerol is usually assimilated via an aerobic metabolic pathway (Durnin et al. 2009). The production of ethanol from glycerol attained a maximum level of approximately 19 g l−1 in an engineered E. coli strain. In the present study, we constructed a recombinant H. polymorpha yeast strain expressing the pdc and adhB genes from Z. mobilis. This recombinant strain demonstrated a 3.3-fold increase in ethanol yield, from glycerol, in a flask experiment (final concentration of ethanol: 2.74 g l−1).

Glycerol is dissimilated by distinct metabolic pathways in microorganisms. The relevant respiratory pathways include that involving the action of glycerol kinase (GlpK) and glyceraldehyde-3-phosphate dehydrogenase (GlpD/GlpABC) and the fermentative pathway catalyzed by glycerol dehydrogenase (DhaD) and dehydroxyacetone kinase (DhaKLM). Durnin et al. (2009) reported efficient stimulation of ethanol production from glycerol in E. coli by overexpression of genes involved in the fermentative pathway. Introduction of dhaD and dhaKLM from K. pneumoniae also resulted in an increase in glycerol utilization and ethanol yield in the recombinant yeast strain.

Although production of ethanol from glycerol increased in H. polymorpha after appropriate genetic engineering, the present yield is lower than that of bacteria such as K. pneumoniae and E. coli. However, we expect that a recombinant yeast strain will be useful in the development of a industrial process for ethanol production by metabolic and process engineering because a critical advantage of yeast compared with bacteria, is high-level ethanol tolerance.